Referrals are something that most people don’t even think to ask for.
- Are you adding value to your customers?
- Do you feel that you could do more?
Adding value is a new term for a lot of businesses however it is an old concept. If you want to get something you need to give value of sometimes 5 times the value.
What does a referral look, like, you say. An example is you are doing a great job for your customer and you casually ask if anyone they know needs the services that you just completed for them.
I used to ask each person I met for referrals of people that would like to be pampered, I would come out from a party with sales, bookings and referrals, I would either make it a party for the guest or I would ring each one separately so that they got their own party. These were successful as I was recommended by this person, they received a reward also. I would give them product that I had gotten for free or at a discount.
In the past I would also ask for referrals for team members and YES my customers did that for me and I rewarded them with a voucher. It worked well because the new team member had customers straight away.
Referrals are another form of adding value to your customers. The better you treat them there is the potential to have more and more referrals. Think about a business like Jim’s Mowing, if the lawn mower guy did a bad job you wouldn’t call him again however if the does a good job the next time a friend wants someone you will think of the person you are using.
Word of mouth for a lot of businesses is another form of income for them. They save on costs of advertising because they are using the power of the work to get them more customers.
Referrals are a great way to increase business from your customers, it is much easier to keep a customer happy than to find a new one and it is much easier to have a happy customer pass on your details to friends etc.
Now what benefit do you see from it? Well I saw an increase in the number of bookings I had which in turn created more sales. I had more team members without the ‘hard sell’. I didn’t have to advertise for work as it was coming to me. The extra savings I used to buy gifts for these people and also for the new team members. I then educated my team to do the same thing and we were doing production of a director and getting team members joining us.
Looking at what you are doing now and is it getting you to where you want to go, if not are you asking for referrals?
Tips to offer:
Data records, kept here for reference:
~~~
[1]
CsLi3Pb4Cl12: relaxed, PBE.

ΔE_f (raw) (meV per atom): -1403.4
E_tot (eV/atom): -3.583

```
20
Lattice="9.170 0.000 0.000 -3.057 8.645 0.000 -3.057 -4.323 7.487" Properties=species:S:1:pos:R:3 pbc="T T T"
Cs 0.000 0.000 0.000
Li -3.057 2.161 3.744
Li 3.057 4.323 0.000
Li 3.057 -2.161 3.744
Pb 4.585 0.000 0.000
Pb 1.528 2.161 3.744
Pb -1.528 4.323 0.000
Pb -1.528 -2.161 3.744
Cl -0.074 6.536 1.203
Cl 3.130 -2.213 6.284
Cl 2.074 5.017 3.834
Cl 5.131 5.134 1.225
Cl 6.187 -0.013 2.428
Cl -0.982 2.817 2.428
Cl 2.983 2.097 1.225
Cl -3.130 4.335 5.059
Cl 0.982 -0.695 3.653
Cl -2.074 -0.811 6.262
Cl 4.039 1.506 5.059
Cl 0.074 2.226 6.262
```

[2]
CsLi2PmCl6: relaxed, PBE.

ΔE_f (raw) (meV per atom): -2049.7
E_tot (eV/atom): -4.101

```
10
Lattice="6.722 -0.001 0.006 3.360 5.816 0.007 3.361 1.943 8.376" Properties=species:S:1:pos:R:3 pbc="T T T"
Cs 10.081 5.817 4.629
Li 6.722 3.876 0.572
Li 10.076 5.815 0.312
Pm 3.361 1.938 0.436
Cl 5.666 1.941 1.892
Cl 5.575 5.754 1.897
Cl 8.924 3.931 1.898
Cl 7.871 5.883 7.360
Cl 7.881 1.891 7.352
Cl 4.416 3.878 7.355
```

[3]
CsLiPmCl5: relaxed, PBE.

ΔE_f (raw) (meV per atom): -2111.4
E_tot (eV/atom): -4.205

```
16
Lattice="-7.153 2.381 -2.105 -0.897 -4.486 6.351 4.557 8.600 3.614" Properties=species:S:1:pos:R:3 pbc="T T T"
Cs -1.892 0.007 4.369
Cs -1.600 6.488 3.491
Li -4.082 2.411 1.410
Li 0.589 4.085 6.450
Pm 2.279 4.300 1.807
Pm 0.000 0.000 0.000
Cl -0.188 -1.864 6.673
Cl -3.305 8.360 1.187
Cl -6.174 1.714 0.359
Cl 2.682 4.781 7.501
Cl -3.352 4.604 0.618
Cl -0.140 1.892 7.242
Cl -4.187 2.537 3.864
Cl 0.694 3.958 3.996
Cl -2.452 0.611 1.016
Cl -1.040 5.884 6.844
```

> Look up the ΔE_f (raw) of the third one.

-2111.4 meV per atom

> E_tot of number 1 (CsLi3Pb4Cl12)?

-3.583 eV/atom

> ΔE_f (raw) of number 1 (CsLi3Pb4Cl12)?

-1403.4 meV per atom

=====

# 1
MgNi2Au: relaxed, PBE-GGA. Values from VASP.

Results
total magnetization: 0.0 μB per formula unit
DFT total energy: -4.27 eV per atom
formation energy: -0.65 eV/f.u.

Structure (Quantum ESPRESSO input):
```
&SYSTEM
  ibrav = 0, nat = 4, ntyp = 3
/
ATOMIC_SPECIES
Au 196.97 Au.upf
Ni 58.69 Ni.upf
Mg 24.30 Mg.upf
ATOMIC_POSITIONS crystal
Au 0.750 0.250 0.500
Ni 0.000 0.000 0.000
Ni 0.500 0.500 0.000
Mg 0.250 0.750 0.500
CELL_PARAMETERS angstrom
4.611 -0.056 -0.018
1.369 4.404 0.018
-2.979 -2.189 2.757
```

# 2
MgNiAu: relaxed, PBE-GGA. Values from VASP.

Results
total magnetization: 0.4 μB per formula unit
DFT total energy: -3.60 eV per atom
excess energy over the best structure of this formula in the dataset: 185 meV per atom
formation energy: -0.15 eV/f.u.

Structure (Quantum ESPRESSO input):
```
&SYSTEM
  ibrav = 0, nat = 6, ntyp = 3
/
ATOMIC_SPECIES
Au 196.97 Au.upf
Ni 58.69 Ni.upf
Mg 24.30 Mg.upf
ATOMIC_POSITIONS crystal
Au 0.951 0.903 0.819
Au 0.049 0.097 0.181
Ni 0.149 0.298 0.490
Ni 0.851 0.702 0.510
Mg 0.220 0.440 0.811
Mg 0.780 0.560 0.189
CELL_PARAMETERS angstrom
2.827 0.000 0.000
-1.413 5.031 0.601
0.000 1.036 7.135
```

=====

Record 1
~~~
1. Ask for referrals, they can say no but hey they could say YES.
2. Add value to your existing customers, make them feel special.
3. Offer incentives use this as leverage
4. Great customer service will make your life easier